Title: Stuck again - any idea how to remove these? Post by: cyborg7 on 28 March, 2017, 09:26:37 PM Any ideas how to remove the following please? (I'm making painfully slow progress stripping the car for a respray so any suggestions v. gratefully received):
1) stainless trim on the door (I thought removing the guttering was going to be the worst, but this has really stumped me) & 2) windscreen wiper bases (is this just a case of yanking them off the rubber seals - can't see anything else to undo beneath) Thanks Title: Re: Stuck again - any idea how to remove these? Post by: lancialulu on 29 March, 2017, 06:16:43 AM You should be able to tap the wiper shafts down through the rubber seals.
Re door trim I seem to remember you need to remove the window glass and quarter light then look for some tiny securing self tappers that go through from the inside through the fuzzy outer glass seal then it pulls off vertically with a bit of persuasion. Title: Re: Stuck again - any idea how to remove these? Post by: frankxhv773t on 29 March, 2017, 05:40:31 PM Usually the ferrule round wiper spindles just pulls off and the rubber lifts away too. You can then put masking tape round the spindle to save removing the wiper mechanism if you don't want to go that far. Removing the ferrule should leave a gap round the wiper spindle so you can paint right up to the edge of the panel. (Knowing my luck a Fulvia will prove to be unusual.)
**Inserted here: data records:**
=====
Record 1
Formula: C16H16AuF5I2NP
Source: the OMol25 dataset
Level of theory: ωB97M-V/def2-TZVPD

```
42
Properties=species:S:1:pos:R:3:mulliken_charge:R:1
Au -1.48 0.49 0.67 0.35
F -2.52 -0.24 3.35 -0.28
C -1.34 -0.23 2.65 0.32
F -0.82 -1.49 2.79 -0.21
C -0.41 0.67 3.47 0.41
F -0.85 1.93 3.47 -0.26
F -0.30 0.27 4.74 -0.27
F 0.84 0.66 2.93 -0.16
I -3.24 -1.98 0.05 0.20
I -4.05 -4.30 -1.08 -0.17
N -1.98 1.60 -0.90 -0.65
C -1.44 2.72 -1.38 0.35
C -0.05 3.05 -1.26 0.07
C 0.43 4.24 -1.76 -0.71
C -0.42 5.14 -2.40 -0.37
C -1.78 4.84 -2.55 -0.52
C -2.29 3.65 -2.06 -0.39
H 0.59 2.35 -0.74 0.35
H 1.48 4.47 -1.64 0.39
H -0.03 6.07 -2.78 0.38
H -2.44 5.54 -3.05 0.37
H -3.33 3.40 -2.17 0.43
C 2.28 0.20 -0.59 -1.54
P 0.63 -0.57 -0.40 0.86
C 0.18 -0.96 -2.11 -1.26
C 1.01 -2.17 0.35 0.92
C 1.88 -2.24 1.44 -0.50
C 2.14 -3.45 2.07 -0.66
C 1.51 -4.61 1.62 -0.49
C 0.64 -4.55 0.54 -0.67
C 0.39 -3.34 -0.09 -0.60
H 2.63 0.60 0.36 0.38
H 2.22 1.01 -1.31 0.54
H 2.98 -0.56 -0.94 0.44
H 0.93 -1.60 -2.58 0.45
H 0.10 -0.02 -2.66 0.36
H -0.79 -1.45 -2.14 0.35
H 2.35 -1.34 1.82 0.23
H 2.81 -3.49 2.91 0.39
H 1.70 -5.55 2.12 0.38
H 0.14 -5.45 0.19 0.40
H -0.30 -3.31 -0.93 0.39
```

Computed properties:
E_LUMO (alpha / beta)	-1.60 / -1.94	eV
Kohn-Sham gap (alpha / beta)	0.224 / 0.227	Ha
HOMO level (alpha / beta)	-7.70 / -8.10	eV
multiplicity	3

=====

Record 2
Formula: C7H13N
Source: the OMol25 dataset
Level of theory: ωB97M-V/def2-TZVPD

```
21
Properties=species:S:1:pos:R:3:mulliken_charge:R:1
C 1.24 1.76 0.20 -0.67
C 0.63 0.84 -0.96 -0.76
C -0.62 0.12 -0.67 0.62
C -1.69 0.31 -1.48 -0.85
C 0.12 -3.14 1.25 -1.15
C 0.25 -1.97 0.35 0.24
C -0.58 -0.90 0.37 -0.40
N 0.40 2.80 0.69 -0.44
H 1.45 1.09 1.04 0.36
H 2.20 2.09 -0.19 0.39
H 1.50 0.18 -1.14 0.27
H 0.78 1.40 -1.89 0.51
H -1.69 1.15 -2.16 0.34
H -2.51 -0.39 -1.54 0.36
H -0.85 -3.63 1.07 0.33
H -0.01 -2.84 2.29 0.34
H 0.94 -3.83 1.10 0.35
H 1.18 -1.98 -0.21 0.27
H -1.37 -0.77 1.10 0.37
H 0.21 3.48 -0.03 0.27
H -0.41 2.48 1.19 0.26
```

Computed properties:
E_LUMO (alpha / beta)	-3.96 / -8.02	eV
Kohn-Sham gap (alpha / beta)	0.360 / 0.179	Ha
total charge	+1
HOMO level (alpha / beta)	-13.75 / -12.90	eV
relative energy (zero: lowest compared OMol25 entry of this formula, charge and spin)	1.954	eV
multiplicity	2

=====

Record 3
Formula: C3H10O
Source: the OMol25 dataset
Level of theory: ωB97M-V/def2-TZVPD

```
14
Properties=species:S:1:pos:R:3:mulliken_charge:R:1
C -0.85 2.64 3.13 -0.74
C -2.35 2.90 2.91 -0.74
H -0.25 3.57 3.24 0.24
H -0.61 1.96 2.34 0.23
H -0.52 2.29 4.14 0.27
H -2.99 2.55 3.74 0.24
H -2.45 3.98 2.98 0.23
H -2.65 2.47 1.96 0.28
C 2.25 -3.67 -4.42 -0.44
O 2.02 -3.40 -3.05 -0.51
H 3.16 -4.32 -4.46 0.21
H 1.50 -4.32 -4.86 0.24
H 2.48 -2.77 -4.99 0.20
H 1.27 -3.85 -2.66 0.30
```

Computed properties:
E_LUMO	1.03	eV
Kohn-Sham gap	0.415	Ha
HOMO level	-10.26	eV
SMILES	CC.CO
relative energy (zero: lowest compared OMol25 entry of this formula, charge and spin)	1.253	eV

=====
=====
Title: Re: Stuck again - any idea how to remove these? Post by: davidwheeler on 29 March, 2017, 06:08:56 PM Yes, you need to grovel under the scuttle to remove the spring clips on the cranks ideally but it is possible (at least on the Sport) to pull it all out downwards with the connecting rods still attatched though it all fouls the bulkhead just to make things Lancia. I imagine there s a lot of hardened rubber hanging on like grim death to the spindle though. I did not do this on my Coupe which is a bit different so I don't know for sure about the ferrule.
[Misplaced calculated molecules]
=====
Below is C31H48N5O10PS2SbW as an isolated structure at a distorted geometry, with properties calculated with ωB97M-V with the def2-TZVPD basis set.

Output
E_HOMO ... -10.31 eV
Energy above the lowest of the compared OMol25 structures with the same formula, charge and spin ... 0.614 eV
Total charge ... +1
Kohn-Sham gap ... 6.66 eV

Each line ends with the Mulliken charge.
Element x y z (Å)
W: -0.35648 0.74616 -0.36921  2.2141
N: 7.02688 -3.29141 -0.95968  -0.4969
C: 6.13097 -2.25716 -0.96855  1.0863
C: 6.15277 -1.28884 0.04641  -0.9394
C: 5.22913 -0.26914 0.05674  -0.2665
C: 4.26710 -0.20048 -0.94837  -0.3466
C: 4.23810 -1.14629 -1.97013  -0.2482
C: 5.15919 -2.16779 -1.97640  -0.8885
S: 3.16876 1.13782 -0.97935  1.4391
O: 3.68151 2.18240 -0.14298  -0.7484
O: 2.77270 1.40416 -2.32602  -0.8518
N: 1.73107 0.65560 -0.18893  0.3472
C: 1.79862 0.75661 1.19002  0.3655
N: 2.76677 0.32583 1.97391  -0.3824
C: 2.53401 0.46760 3.27710  -0.5660
C: 1.33764 0.95567 3.80212  -0.8177
C: 0.36322 1.32026 2.89969  -0.4158
N: 0.64269 1.27817 1.59651  0.1287
H: 7.84381 -3.21294 -0.38016  0.2155
H: 7.14336 -3.83110 -1.79908  0.2201
H: 6.90700 -1.34409 0.82131  0.2955
H: 5.24732 0.48418 0.83040  0.5039
H: 3.49816 -1.07474 -2.75333  0.2724
H: 5.13981 -2.90748 -2.76671  0.3139
H: 3.33188 0.14924 3.93776  0.5224
H: 1.18156 1.03028 4.86723  0.4698
H: -0.62121 1.67015 3.18297  0.5388
C: 0.91306 6.44478 -1.32221  -1.6790
C: 1.01204 5.42734 -0.20196  1.6696
C: 2.41351 5.34452 0.36816  -1.6161
C: -0.02602 5.66080 0.88105  -1.5084
O: 0.78105 4.08061 -0.79239  0.0617
P: -0.58998 3.50648 -1.24868  0.0664
O: -1.60539 4.41981 -1.75658  -0.8668
O: -1.06613 2.53663 -0.07554  -0.5690
O: -0.14573 2.26637 -2.20682  0.5683
C: -0.02300 2.40723 -3.72986  1.3916
C: 1.05661 3.43983 -3.98864  -1.5545
C: -1.36769 2.84683 -4.27510  -1.4409
C: 0.31184 1.03530 -4.27567  -1.4651
H: 1.13723 7.43660 -0.92853  0.5131
H: -0.08929 6.45880 -1.75013  0.3046
H: 1.63751 6.21551 -2.10380  0.3282
H: 2.68337 6.30404 0.81104  0.5022
H: 3.13089 5.09882 -0.41185  0.3536
H: 2.47239 4.57135 1.13327  0.2692
H: 0.18858 6.60056 1.38982  0.5085
H: 0.00840 4.85766 1.61935  0.2345
H: -1.03095 5.72436 0.46018  0.3602
H: 0.72994 4.43224 -3.67338  0.3295
H: 1.24753 3.47936 -5.06183  0.5504
H: 1.97820 3.17047 -3.47901  0.1538
H: -1.73560 3.75027 -3.79575  0.3224
H: -2.09478 2.04409 -4.17357  0.1609
H: -1.24362 3.04622 -5.34020  0.5136
H: 1.29242 0.69131 -3.97437  0.1068
H: 0.27982 1.10701 -5.36418  0.5306
H: -0.43822 0.30765 -3.96735  0.1509
C: -3.79644 -1.41390 -1.59148  -1.1314
Sb: -3.12488 0.56746 -1.29395  1.0620
C: -4.17509 1.15235 0.44349  -1.2566
C: -4.21387 1.59982 -2.79316  -1.4841
H: -4.84717 -1.37714 -1.87426  0.5079
H: -3.68342 -1.96046 -0.65545  0.1104
H: -3.22569 -1.89084 -2.38659  0.4264
H: -5.23685 0.94888 0.31815  0.5005
H: -4.01930 2.21503 0.61983  0.3791
H: -3.78808 0.57019 1.27748  0.2940
H: -5.26807 1.44149 -2.56860  0.5459
H: -3.98958 1.20111 -3.77786  0.4602
H: -3.98532 2.66257 -2.75718  0.3953
=====
Title: Re: Stuck again - any idea how to remove these? Post by: cyborg7 on 29 March, 2017, 08:39:05 PM Thanks all. Success with the wiper ferrules - brute force did it as the rubber was like rock, but useful / reassurring to know that pulling them was the way.
Molecular data, kept here for reference:
┌──
No. 1
{
  "formula": "C35H29ClIrN3O5PSTe",
  "method": "ωB97M-V/def2-TZVPD",
  "species": ["H", "H", "C", "H", "O", "H", "N", "C", "C", "H", "C", "H", "C", "Cl", "H", "C", "H", "C", "C", "C", "O", "H", "C", "Ir", "H", "H", "H", "H", "H", "N", "C", "H", "C", "H", "H", "H", "H", "C", "N", "H", "O", "O", "Te", "O", "H", "H", "C", "C", "P", "C", "C", "C", "H", "H", "C", "C", "H", "C", "C", "S", "H", "C", "C", "C", "H", "C", "C", "C", "C", "C", "C", "C", "C", "H", "C", "H", "C"],
└──
The piece goes on:
As for the window trim, I was hoping to avoid removing the glass as I'm sure I've read on the forum that removing the glass is last resort as it can be extremely difficult to get back in properly. I was dreading that might be the answer, but I think you're right that there can't be any other way. Thanks for all the suggestions. Title: Re: Stuck again - any idea how to remove these? Post by: DavidLaver on 31 March, 2017, 07:30:45 AM Respray? I guess it has its faults not apparent in the photos... Title: Re: Stuck again - any idea how to remove these? Post by: cyborg7 on 31 March, 2017, 08:16:00 PM Respray? I guess it has its faults not apparent in the photos... |